What does the Bible really say about money and giving? You often hear the words ‘tithe’ or ‘tithing’ thrown around when Christians talk about their giving, but this kind of language often betrays a fundamental misunderstanding about what the Bible actually teaches about how we should treat our money.
The logic usually goes something like this: A tithe is 10% that you give to God. Tithing is in the Bible. Christians believe the Bible. Therefore, Christians should give 10% of their money to God.
Seems to make sense, right?
Next to the entry, the page also holds records of molecules
<<<
67
Properties=species:S:1:pos:R:3 method="wB97M-V/def2-TZVPD" charge=-1 s2=0.756 molar_mass_da=852.43 lumo_ha="0.088 / 0.020" energy_ev=-94854.357 spin_multiplicity=2 homo_lumo_gap_ha="0.2804 / 0.2105" homo_ev="-5.247 / -5.195" largest_force_ev_per_a=3.133
La -0.30 1.44 -0.44
C 2.04 -0.93 4.39
C 2.33 -1.64 3.03
C 1.00 -2.12 2.43
C 3.10 -0.65 2.17
C 4.15 0.07 2.69
C 4.66 1.19 2.08
C 4.22 1.52 0.76
C 4.71 2.76 0.07
C 3.30 0.70 0.17
C 2.71 -0.34 0.85
H 1.17 -1.41 4.94
H 1.79 0.13 4.23
H 2.94 -0.92 5.08
H 3.03 -2.49 3.25
H 0.31 -1.30 2.20
H 0.55 -2.88 3.09
H 1.19 -2.65 1.48
H 4.64 -0.31 3.59
H 5.33 1.85 2.60
H 4.76 2.63 -1.00
H 5.64 3.09 0.49
H 4.03 3.60 0.17
H 3.08 0.90 -0.86
H 1.93 -0.96 0.42
F 1.47 3.82 -6.36
C 1.66 3.79 -5.00
F 2.99 4.04 -4.79
F 1.00 4.88 -4.51
C 1.12 2.49 -4.47
C 0.81 1.46 -5.35
C 0.50 0.16 -4.91
C 0.60 -0.10 -3.57
N 0.95 0.87 -2.70
C 1.35 2.11 -3.08
S 1.76 3.13 -1.79
H 0.80 1.65 -6.44
H 0.20 -0.63 -5.64
H 0.39 -1.09 -3.08
S -3.96 2.41 2.27
Sb -2.48 4.06 1.35
S -2.37 3.31 -1.00
S -0.28 3.11 1.93
C -2.57 -2.24 2.75
C -3.67 -1.80 1.81
C -3.36 -1.75 0.35
C -4.63 -1.18 -0.34
C -5.03 0.33 -0.09
C -3.20 -3.24 -0.07
O -3.80 -4.16 0.41
N -2.30 -3.44 -1.14
C -1.26 -2.58 -1.57
O -0.55 -2.75 -2.56
N -1.14 -1.43 -0.80
C -2.07 -0.98 0.01
O -1.95 0.20 0.55
H -3.01 -2.35 3.80
H -1.74 -1.51 2.92
H -2.12 -3.19 2.43
H -3.98 -0.80 2.12
H -4.54 -2.45 1.97
H -5.46 -1.94 -0.09
H -4.51 -1.25 -1.45
H -6.05 0.39 0.30
H -5.16 0.78 -1.08
H -4.36 0.95 0.54
H -2.39 -4.38 -1.52


Density functional theory data (ωB97M-V/def2-TZVPD) for a single C5H8FN molecule.

Geometry (Å):
C1 0.386 0.386 -0.885
C2 0.697 -0.030 0.361
C3 -0.268 -0.637 1.231
C4 1.251 1.320 -1.768
C5 -1.710 -0.954 0.666
N1 0.151 -0.878 2.385
F1 1.865 0.286 0.984
H1 -0.471 0.198 -1.491
H2 0.796 2.309 -1.773
H3 2.205 1.341 -1.355
H4 1.475 0.921 -2.787
H5 -1.557 -1.507 -0.382
H6 -2.094 -0.073 0.436
H7 -2.133 -1.630 1.354
H8 -0.593 -1.051 3.025

Calculated values
E_HOMO (spin up / spin down) ... -5.8 / -9.4 eV
HOMO-LUMO gap (spin up / spin down) ... 6.66 / 6.89 eV
2S+1 ... 3
E_tot ... -349.73126 a.u.
Energy above the lowest of the compared OMol25 structures with the same formula, charge and spin ... 0.060 eV

***

Density functional theory data (ωB97M-V/def2-TZVPD) for 9 unconnected molecules or ions with the total composition C44H72INO16S9.

Geometry (Å):
I1 1.474 1.192 -0.847
C1 3.356 0.645 -1.725
C2 3.373 0.009 -2.969
C3 4.634 -0.282 -3.526
C4 5.813 0.023 -2.850
C5 5.808 0.646 -1.582
C6 4.550 0.948 -1.024
S1 4.468 1.729 0.591
C7 6.079 2.523 0.643
C8 6.243 3.644 1.476
C9 7.489 4.286 1.524
C10 8.570 3.810 0.763
C11 8.377 2.677 -0.039
C12 7.131 2.015 -0.132
N1 7.078 0.875 -0.987
H1 2.463 -0.241 -3.499
H2 4.728 -0.780 -4.486
H3 6.772 -0.227 -3.291
H4 5.453 4.043 2.099
H5 7.629 5.155 2.159
H6 9.554 4.263 0.760
H7 9.224 2.296 -0.603
H8 7.483 0.035 -0.578
C13 0.892 -2.291 1.607
C14 -0.085 -2.296 2.789
C15 0.747 -2.367 4.076
S2 2.315 -1.593 3.687
O1 3.358 -2.594 3.762
O2 2.424 -0.338 4.391
>>>
Well… no. Hopefully this post will clear a few things up.
What Does The Bible Teach About Tithing?
In the Bible, the Law of Moses required that the Israelites tithe, giving a tenth of their income/assets to God. Tithing is biblical. But it’s worth noting that there wasn’t just one tithe – there were three. There was one annual tithe for the Levites, another annual tithe for worship festivals, and another 3-yearly tithe for the poor.
For those who aren’t mathematically inclined, that adds up to 23.3% per year. So if you’re really into tithing, you should probably step up your giving a bit. Maybe at this stage you’re a bit less keen on tithing as you were before – 10% seemed like a much nicer figure, didn’t it?
Do the Old Testament Tithing Laws Apply Today?
The short answer is no.
Are you an Israelite, descended from Abraham, born under the Law? If not, you’re not a part of the Old Covenant. You may have heard this good news already, but God has made a new covenant with His people in Jesus. The old covenant is no longer binding on us. Jesus perfectly obeyed the Law in order to free us from it. That’s why we’re not bound by the commands of the Law of Moses any more.
Do you circumcise your sons? Do you make animal sacrifices at God’s Temple in Jerusalem? Are you bound by the Sabbath laws? No. So why would you tithe?
Well, you shouldn’t. I mean, you can if you really want to. But the Bible doesn’t teach that you should. Christians aren’t required to tithe. And it’s actually really important that we don’t get stuck in the mindset that we have to tithe; this has big implications for the way we view money in general.
The Problem With Tithing
There are two huge problems with a tithe-mindset:
1) It often results in obligation-based giving. If the Bible requires us to give 10%, then it’s very easy to give that 10% begrudgingly, because we have no choice in giving it or not. This attitude is completely contrary to the New Testament teaching on giving, as we’ll see below.
2) It often results in people giving no more than 10%. A corollary of the tithe-mindset is that if 10% is God’s, then the rest is mine. It’s easy to think that once the 10% is paid, then our obligations have been met, and we’re free to spend the rest as we please. This self-centred approach is also completely out of line with what the Bible teaches about giving.
If we’re not supposed to tithe, then what does the Bible teach about how Christians approach giving?
New Testament Teaching on Giving
The Bible teaches that everything we have is given by God. This isn’t just a New Testament thing, either – it’s all throughout the Bible (Deuteronomy 8:18, Ecclesiastes 5:19, 1 Corinthians 4:7, et al.). Everything is given by God. So it’s not like God gets 10% and we get the rest to spend as we please. It all comes from God, so it’s all His.
If you think that being freed from the tithe means that you don’t have to give any more, then you’ve totally missed the point. We aren’t required to give a tithe, but we’re freed to give us much as we are willing and able.
The New Testament’s teaching on giving is probably best summed up in 2 Corinthians 9:7: “Each man should give what he has decided in his heart to give, not reluctantly or under compulsion, for God loves a cheerful giver.” We are not under any compulsion to give, but are instead freed to give as much as we would like.
This means that, as a Christian, you don’t have a set rule of how much to give. There is no percentage that you have to maintain. Instead, you should give whatever you have decided in your own heart to give. We are not obligated by rules, but rather motivated by love.
This means that if you’re genuinely unable to give as much as 10%, you have no reason to feel guilty. It also means that if God has blessed you abundantly and you’re able to give as much as 30% (or more), then you’re free to do so, motivated not by compulsion or requirement, but by love and gratitude to God.
I know it’s easier to follow a percentage. It would be easier if Christians were simply required to give 10%, and then we were able to do what we like with the rest. But that’s not the way of the Christian life. If you’re a disciple of Jesus, then your whole life is his.
You don’t just give Sunday to God, and have the rest to spend as you please – your whole life belongs to God. And in the same way, you don’t just give 10% to God, and the rest is yours – all your possessions belong to God.
So please be careful about using ‘tithe’ language. Christians don’t tithe. Christians offer their whole lives to God, motivated by love and gratitude, because God has already given us everything we need in Jesus.
Instead of worrying about set percentage when it comes to giving, maybe ask yourself this question instead: “Am I honouring God as fully as I’m able to with all that He has given me?”